Your job: write out everything further below exactly.
/*
[1]
First-principles (PBE-GGA) data for crystalline Mg16Al12Mo at its relaxed geometry, as listed in Materials Project. Values from VASP.

Properties
Total magnetization in μB per cell: 0.001
Calculated total energy in eV per cell: -81.08
Energy relative to the elements in eV/atom: 0.01
Crystal system: trigonal

Cell and atoms, written as Quantum ESPRESSO input:
```
&SYSTEM
  ibrav = 0, nat = 29, ntyp = 3
/
ATOMIC_SPECIES
Al 26.98 Al.upf
Mg 24.30 Mg.upf
Mo 95.94 Mo.upf
ATOMIC_POSITIONS crystal
Al 0.3668 0.1853 0.0026
Al 0.8371 0.6457 0.6457
Al 0.6457 0.6457 0.8371
Al 0.1919 0.8127 0.8127
Al 0.0026 0.3668 0.1853
Al 0.1853 0.0026 0.3668
Al 0.6457 0.8371 0.6457
Al 0.1853 0.3668 0.0026
Al 0.8127 0.8127 0.1919
Al 0.8127 0.1919 0.8127
Al 0.3668 0.0026 0.1853
Al 0.0026 0.1853 0.3668
Mg 0.0085 0.0085 0.6508
Mg 0.0025 0.6814 0.4028
Mg 0.3195 0.3195 0.7142
Mg 0.5838 0.5838 0.3006
Mg 0.6814 0.4028 0.0025
Mg 0.9938 0.9938 0.9938
Mg 0.3006 0.5838 0.5838
Mg 0.4028 0.6814 0.0025
Mg 0.5838 0.3006 0.5838
Mg 0.6508 0.0085 0.0085
Mg 0.6814 0.0025 0.4028
Mg 0.3195 0.7142 0.3195
Mg 0.7142 0.3195 0.3195
Mg 0.0025 0.4028 0.6814
Mg 0.4028 0.0025 0.6814
Mg 0.0085 0.6508 0.0085
Mo 0.2882 0.2882 0.2882
CELL_PARAMETERS angstrom
-5.9289 0.8124 -6.6058
-4.2343 -3.2003 7.1608
3.0796 8.1246 1.9890
```

=====

[2]
First-principles (PBE-GGA) data for crystalline Mg6AlMo at its relaxed geometry, as listed in Materials Project. Values from VASP.

Properties
Total magnetization in μB per cell: 0.005
Calculated total energy in eV per cell: -45.94
Energy relative to the elements in eV/atom: 0.15
Offset from the most stable computed form in meV per atom: 0

Cell and atoms, written as Quantum ESPRESSO input:
```
&SYSTEM
  ibrav = 0, nat = 16, ntyp = 3
/
ATOMIC_SPECIES
Mg 24.30 Mg.upf
Al 26.98 Al.upf
Mo 95.94 Mo.upf
ATOMIC_POSITIONS crystal
Mg 0.5000 0.2546 0.4174
Mg 0.0000 0.0000 0.3335
Mg 0.5000 0.2454 0.9174
Mg 0.0000 0.2376 0.5872
Mg 0.5000 0.0000 0.1661
Mg 0.0000 0.5000 0.8335
Mg 0.5000 0.7454 0.4174
Mg 0.5000 0.5000 0.6661
Mg 0.0000 0.7376 0.0872
Mg 0.0000 0.2624 0.0872
Mg 0.5000 0.7546 0.9174
Mg 0.0000 0.7624 0.5872
Al 0.0000 0.5000 0.3151
Al 0.0000 0.0000 0.8151
Mo 0.5000 0.0000 0.6761
Mo 0.5000 0.5000 0.1761
CELL_PARAMETERS angstrom
4.8183 0.0000 0.0000
0.0000 6.1569 0.0000
0.0000 0.0000 10.6424
```

=====

[3]
First-principles (PBE-GGA) data for crystalline MgAlMoS4 at its relaxed geometry, as listed in Materials Project. Values from VASP.

Properties
Total magnetization in μB per cell: 6.000
Calculated total energy in eV per cell: -77.95
Energy relative to the elements in eV/atom: -1.18
Crystal system: orthorhombic

Cell and atoms, written as Quantum ESPRESSO input:
```
&SYSTEM
  ibrav = 0, nat = 14, ntyp = 4
/
ATOMIC_SPECIES
Mg 24.30 Mg.upf
Mo 95.94 Mo.upf
S 32.06 S.upf
Al 26.98 Al.upf
ATOMIC_POSITIONS crystal
Mg 0.1269 0.1231 0.1231
Mg 0.8731 0.8769 0.8769
Mo 0.5000 0.0000 0.5000
Mo 0.5000 0.5000 0.0000
S 0.2583 0.7141 0.2693
S 0.2531 0.2659 0.2659
S 0.7469 0.7341 0.7341
S 0.7417 0.7307 0.2859
S 0.7152 0.2659 0.2659
S 0.7417 0.2859 0.7307
S 0.2583 0.2693 0.7141
S 0.2848 0.7341 0.7341
Al 0.0000 0.5000 0.5000
Al 0.5000 0.5000 0.5000
CELL_PARAMETERS angstrom
-0.4974 7.0578 -1.6721
-5.0593 4.1702 3.3020
2.1375 5.0512 4.8793
```

=====

[4]
First-principles (PBE-GGA) data for crystalline Mg2Al3MoS8 at its relaxed geometry, as listed in Materials Project. Values from VASP.

Properties
Total magnetization in μB per cell: 3.000
Calculated total energy in eV per cell: -72.92
Energy relative to the elements in eV/atom: -1.33
Crystal system: trigonal

Cell and atoms, written as Quantum ESPRESSO input:
```
&SYSTEM
  ibrav = 0, nat = 14, ntyp = 4
/
ATOMIC_SPECIES
Al 26.98 Al.upf
Mo 95.94 Mo.upf
S 32.06 S.upf
Mg 24.30 Mg.upf
ATOMIC_POSITIONS crystal
Al 0.5000 0.5000 0.5000
Al 0.5000 0.5000 0.0000
Al 0.0000 0.5000 0.5000
Mo 0.5000 0.0000 0.5000
S 0.2582 0.2696 0.2582
S 0.7418 0.7304 0.7418
S 0.7418 0.7304 0.2860
S 0.2582 0.2696 0.7140
S 0.2860 0.7304 0.7418
*/
[1]
First-principles (PBE-GGA) data for crystalline Mg16Al12Mo at its relaxed geometry, as listed in Materials Project. Values from VASP.

Properties
Total magnetization in μB per cell: 0.001
Calculated total energy in eV per cell: -81.08
Energy relative to the elements in eV/atom: 0.01
Crystal system: trigonal

Cell and atoms, written as Quantum ESPRESSO input:
```
&SYSTEM
  ibrav = 0, nat = 29, ntyp = 3
/
ATOMIC_SPECIES
Al 26.98 Al.upf
Mg 24.30 Mg.upf
Mo 95.94 Mo.upf
ATOMIC_POSITIONS crystal
Al 0.3668 0.1853 0.0026
Al 0.8371 0.6457 0.6457
Al 0.6457 0.6457 0.8371
Al 0.1919 0.8127 0.8127
Al 0.0026 0.3668 0.1853
Al 0.1853 0.0026 0.3668
Al 0.6457 0.8371 0.6457
Al 0.1853 0.3668 0.0026
Al 0.8127 0.8127 0.1919
Al 0.8127 0.1919 0.8127
Al 0.3668 0.0026 0.1853
Al 0.0026 0.1853 0.3668
Mg 0.0085 0.0085 0.6508
Mg 0.0025 0.6814 0.4028
Mg 0.3195 0.3195 0.7142
Mg 0.5838 0.5838 0.3006
Mg 0.6814 0.4028 0.0025
Mg 0.9938 0.9938 0.9938
Mg 0.3006 0.5838 0.5838
Mg 0.4028 0.6814 0.0025
Mg 0.5838 0.3006 0.5838
Mg 0.6508 0.0085 0.0085
Mg 0.6814 0.0025 0.4028
Mg 0.3195 0.7142 0.3195
Mg 0.7142 0.3195 0.3195
Mg 0.0025 0.4028 0.6814
Mg 0.4028 0.0025 0.6814
Mg 0.0085 0.6508 0.0085
Mo 0.2882 0.2882 0.2882
CELL_PARAMETERS angstrom
-5.9289 0.8124 -6.6058
-4.2343 -3.2003 7.1608
3.0796 8.1246 1.9890
```

=====

[2]
First-principles (PBE-GGA) data for crystalline Mg6AlMo at its relaxed geometry, as listed in Materials Project. Values from VASP.

Properties
Total magnetization in μB per cell: 0.005
Calculated total energy in eV per cell: -45.94
Energy relative to the elements in eV/atom: 0.15
Offset from the most stable computed form in meV per atom: 0

Cell and atoms, written as Quantum ESPRESSO input:
```
&SYSTEM
  ibrav = 0, nat = 16, ntyp = 3
/
ATOMIC_SPECIES
Mg 24.30 Mg.upf
Al 26.98 Al.upf
Mo 95.94 Mo.upf
ATOMIC_POSITIONS crystal
Mg 0.5000 0.2546 0.4174
Mg 0.0000 0.0000 0.3335
Mg 0.5000 0.2454 0.9174
Mg 0.0000 0.2376 0.5872
Mg 0.5000 0.0000 0.1661
Mg 0.0000 0.5000 0.8335
Mg 0.5000 0.7454 0.4174
Mg 0.5000 0.5000 0.6661
Mg 0.0000 0.7376 0.0872
Mg 0.0000 0.2624 0.0872
Mg 0.5000 0.7546 0.9174
Mg 0.0000 0.7624 0.5872
Al 0.0000 0.5000 0.3151
Al 0.0000 0.0000 0.8151
Mo 0.5000 0.0000 0.6761
Mo 0.5000 0.5000 0.1761
CELL_PARAMETERS angstrom
4.8183 0.0000 0.0000
0.0000 6.1569 0.0000
0.0000 0.0000 10.6424
```

=====

[3]
First-principles (PBE-GGA) data for crystalline MgAlMoS4 at its relaxed geometry, as listed in Materials Project. Values from VASP.

Properties
Total magnetization in μB per cell: 6.000
Calculated total energy in eV per cell: -77.95
Energy relative to the elements in eV/atom: -1.18
Crystal system: orthorhombic

Cell and atoms, written as Quantum ESPRESSO input:
```
&SYSTEM
  ibrav = 0, nat = 14, ntyp = 4
/
ATOMIC_SPECIES
Mg 24.30 Mg.upf
Mo 95.94 Mo.upf
S 32.06 S.upf
Al 26.98 Al.upf
ATOMIC_POSITIONS crystal
Mg 0.1269 0.1231 0.1231
Mg 0.8731 0.8769 0.8769
Mo 0.5000 0.0000 0.5000
Mo 0.5000 0.5000 0.0000
S 0.2583 0.7141 0.2693
S 0.2531 0.2659 0.2659
S 0.7469 0.7341 0.7341
S 0.7417 0.7307 0.2859
S 0.7152 0.2659 0.2659
S 0.7417 0.2859 0.7307
S 0.2583 0.2693 0.7141
S 0.2848 0.7341 0.7341
Al 0.0000 0.5000 0.5000
Al 0.5000 0.5000 0.5000
CELL_PARAMETERS angstrom
-0.4974 7.0578 -1.6721
-5.0593 4.1702 3.3020
2.1375 5.0512 4.8793
```

=====

[4]
First-principles (PBE-GGA) data for crystalline Mg2Al3MoS8 at its relaxed geometry, as listed in Materials Project. Values from VASP.

Properties
Total magnetization in μB per cell: 3.000
Calculated total energy in eV per cell: -72.92
Energy relative to the elements in eV/atom: -1.33
Crystal system: trigonal

Cell and atoms, written as Quantum ESPRESSO input:
```
&SYSTEM
  ibrav = 0, nat = 14, ntyp = 4
/
ATOMIC_SPECIES
Al 26.98 Al.upf
Mo 95.94 Mo.upf
S 32.06 S.upf
Mg 24.30 Mg.upf
ATOMIC_POSITIONS crystal
Al 0.5000 0.5000 0.5000
Al 0.5000 0.5000 0.0000
Al 0.0000 0.5000 0.5000
Mo 0.5000 0.0000 0.5000
S 0.2582 0.2696 0.2582
S 0.7418 0.7304 0.7418
S 0.7418 0.7304 0.2860
S 0.2582 0.2696 0.7140
S 0.2860 0.7304 0.7418